The reader should find "energy**: -1.712" and "La7 Mn7" in the rows below, and copy these two lines and those between.

┌──
1.
# Li4Co5O9F, relaxed, DFT GGA+U
data_Li4Co5O9F
_chemical_formula_sum 'Li4 Co5 O9 F1'
_cell_length_a 2.855
_cell_length_b 5.047
_cell_length_c 12.463
_cell_angle_alpha 79.34
_cell_angle_beta 96.60
_cell_angle_gamma 106.49
_symmetry_space_group_name_H-M 'P 1'
_symmetry_Int_Tables_number 1
loop_
_symmetry_equiv_pos_as_xyz
'x,y,z'
loop_
_atom_site_label
_atom_site_type_symbol
_atom_site_fract_x
_atom_site_fract_y
_atom_site_fract_z
Li1 Li 0.803 0.007 0.603
Li2 Li 0.591 0.999 0.198
Li3 Li 0.415 0.001 0.818
Li4 Li 0.193 0.999 0.402
Co1 Co 0.901 0.498 0.299
Co2 Co 0.698 0.497 0.897
Co3 Co 0.503 0.503 0.499
Co4 Co 0.310 0.517 0.100
Co5 Co 0.104 0.507 0.698
O1 O 0.869 0.286 0.446
O2 O 0.932 0.707 0.155
O3 O 0.736 0.714 0.754
O4 O 0.535 0.713 0.351
O5 O 0.471 0.294 0.645
O6 O 0.267 0.283 0.246
O7 O 0.067 0.292 0.841
O8 O 0.323 0.694 0.952
O9 O 0.138 0.721 0.550
F1 F 0.656 0.259 0.052
# **Energy with MP2020 corrections**: -122.16 eV per cell
# **Calculated formation energy**: -1.712 eV per atom
# **M_tot**: 0.000 μB/f.u.
# **Excess energy over the best structure of this formula in the dataset**: 0 meV per atom



2.
# Zn2CrWO6, relaxed, DFT GGA+U
data_Zn2CrWO6
_chemical_formula_sum 'Zn4 Cr2 W2 O12'
_cell_length_a 5.242
_cell_length_b 5.542
_cell_length_c 7.638
_cell_angle_alpha 85.27
_cell_angle_beta 90.05
_cell_angle_gamma 90.05
_symmetry_space_group_name_H-M 'P 1'
_symmetry_Int_Tables_number 1
loop_
_symmetry_equiv_pos_as_xyz
'x,y,z'
loop_
_atom_site_label
_atom_site_type_symbol
_atom_site_fract_x
_atom_site_fract_y
_atom_site_fract_z
Zn1 Zn 0.006 0.496 0.235
Zn2 Zn 0.509 0.974 0.727
Zn3 Zn 0.508 0.059 0.268
Zn4 Zn 0.011 0.564 0.770
Cr1 Cr 0.509 0.505 0.991
Cr2 Cr 0.007 0.003 0.490
W1 W 0.508 0.506 0.493
W2 W 0.009 0.011 0.992
O1 O 0.184 0.688 0.046
O2 O 0.687 0.184 0.550
O3 O 0.200 0.318 0.420
O4 O 0.704 0.813 0.922
O5 O 0.633 0.488 0.244
O6 O 0.139 0.995 0.742
O7 O 0.324 0.820 0.426
O8 O 0.831 0.322 0.932
O9 O 0.875 0.002 0.240
O10 O 0.384 0.517 0.739
O11 O 0.319 0.194 0.056
O12 O 0.821 0.686 0.559
# **Energy with MP2020 corrections**: -149.83 eV per cell
# **Calculated formation energy**: -2.009 eV per atom
# **M_tot**: 0.998 μB/f.u.
# **Excess energy over the best structure of this formula in the dataset**: 0 meV per atom



3.
# CrPbO3, relaxed, DFT GGA+U
data_CrPbO3
_chemical_formula_sum 'Cr1 Pb1 O3'
_cell_length_a 3.917
_cell_length_b 3.917
_cell_length_c 3.917
_cell_angle_alpha 90.00
_cell_angle_beta 90.00
_cell_angle_gamma 90.00
_symmetry_space_group_name_H-M 'P 1'
_symmetry_Int_Tables_number 1
loop_
_symmetry_equiv_pos_as_xyz
'x,y,z'
loop_
_atom_site_label
_atom_site_type_symbol
_atom_site_fract_x
_atom_site_fract_y
_atom_site_fract_z
Cr1 Cr 0.000 0.000 0.000
Pb1 Pb 0.500 0.500 0.500
O1 O 0.000 0.000 0.500
O2 O 0.000 0.500 0.000
O3 O 0.500 0.000 0.000
# **Energy with MP2020 corrections**: -36.90 eV per cell
# **Calculated formation energy**: -1.738 eV per atom
# **M_tot**: 2.000 μB/f.u.



4.
# Ca5La7Mn7Ru5O36, relaxed, DFT GGA+U
data_Ca5La7Mn7Ru5O36
_chemical_formula_sum 'Ca5 La7 Mn7 Ru5 O36'
_cell_length_a 5.561
_cell_length_b 5.654
_cell_length_c 23.699
_cell_angle_alpha 89.83
_cell_angle_beta 90.10
_cell_angle_gamma 90.16
_symmetry_space_group_name_H-M 'P 1'
_symmetry_Int_Tables_number 1
loop_
_symmetry_equiv_pos_as_xyz
'x,y,z'
loop_
_atom_site_label
_atom_site_type_symbol
_atom_site_fract_x
_atom_site_fract_y
_atom_site_fract_z
Ca1 Ca 0.010 0.050 0.086
Ca2 Ca 0.484 0.557 0.086
Ca3 Ca 0.517 0.444 0.249
Ca4 Ca 0.988 0.950 0.250
Ca5 Ca 0.992 0.958 0.579
La1 La 0.008 0.039 0.418
La2 La 0.006 0.037 0.750
La3 La 0.489 0.542 0.416
La4 La 0.488 0.542 0.752
La5 La 0.513 0.456 0.580
La6 La 0.512 0.459 0.918
La7 La 0.992 0.961 0.918
Mn1 Mn 0.999 0.499 0.834
Mn2 Mn 0.501 0.999 0.500
Mn3 Mn 0.499 0.000 0.834
Mn4 Mn 0.497 0.001 0.004
Mn5 Mn 0.501 0.999 0.330
Mn6 Mn 0.500 0.000 0.664
Mn7 Mn 0.001 0.501 0.500
Ru1 Ru 0.000 0.502 0.005
Ru2 Ru 0.001 0.500 0.167
Ru3 Ru 0.000 0.500 0.664
Ru4 Ru 0.502 0.000 0.167
Ru5 Ru 0.001 0.498 0.329
└──

# **Calculated formation energy**: -1.712 eV per atom
# **M_tot**: 0.000 μB/f.u.
# **Excess energy over the best structure of this formula in the dataset**: 0 meV per atom



2.
# Zn2CrWO6, relaxed, DFT GGA+U
data_Zn2CrWO6
_chemical_formula_sum 'Zn4 Cr2 W2 O12'
_cell_length_a 5.242
_cell_length_b 5.542
_cell_length_c 7.638
_cell_angle_alpha 85.27
_cell_angle_beta 90.05
_cell_angle_gamma 90.05
_symmetry_space_group_name_H-M 'P 1'
_symmetry_Int_Tables_number 1
loop_
_symmetry_equiv_pos_as_xyz
'x,y,z'
loop_
_atom_site_label
_atom_site_type_symbol
_atom_site_fract_x
_atom_site_fract_y
_atom_site_fract_z
Zn1 Zn 0.006 0.496 0.235
Zn2 Zn 0.509 0.974 0.727
Zn3 Zn 0.508 0.059 0.268
Zn4 Zn 0.011 0.564 0.770
Cr1 Cr 0.509 0.505 0.991
Cr2 Cr 0.007 0.003 0.490
W1 W 0.508 0.506 0.493
W2 W 0.009 0.011 0.992
O1 O 0.184 0.688 0.046
O2 O 0.687 0.184 0.550
O3 O 0.200 0.318 0.420
O4 O 0.704 0.813 0.922
O5 O 0.633 0.488 0.244
O6 O 0.139 0.995 0.742
O7 O 0.324 0.820 0.426
O8 O 0.831 0.322 0.932
O9 O 0.875 0.002 0.240
O10 O 0.384 0.517 0.739
O11 O 0.319 0.194 0.056
O12 O 0.821 0.686 0.559
# **Energy with MP2020 corrections**: -149.83 eV per cell
# **Calculated formation energy**: -2.009 eV per atom
# **M_tot**: 0.998 μB/f.u.
# **Excess energy over the best structure of this formula in the dataset**: 0 meV per atom



3.
# CrPbO3, relaxed, DFT GGA+U
data_CrPbO3
_chemical_formula_sum 'Cr1 Pb1 O3'
_cell_length_a 3.917
_cell_length_b 3.917
_cell_length_c 3.917
_cell_angle_alpha 90.00
_cell_angle_beta 90.00
_cell_angle_gamma 90.00
_symmetry_space_group_name_H-M 'P 1'
_symmetry_Int_Tables_number 1
loop_
_symmetry_equiv_pos_as_xyz
'x,y,z'
loop_
_atom_site_label
_atom_site_type_symbol
_atom_site_fract_x
_atom_site_fract_y
_atom_site_fract_z
Cr1 Cr 0.000 0.000 0.000
Pb1 Pb 0.500 0.500 0.500
O1 O 0.000 0.000 0.500
O2 O 0.000 0.500 0.000
O3 O 0.500 0.000 0.000
# **Energy with MP2020 corrections**: -36.90 eV per cell
# **Calculated formation energy**: -1.738 eV per atom
# **M_tot**: 2.000 μB/f.u.



4.
# Ca5La7Mn7Ru5O36, relaxed, DFT GGA+U
data_Ca5La7Mn7Ru5O36
_chemical_formula_sum 'Ca5 La7 Mn7 Ru5 O36'